Entries =
-- begin --
Pr4Sm5Cd after structural relaxation. Source: Alexandria via LeMat-Bulk, functional GGA-PBE.

The structure in POSCAR format:
```
Pr4Sm5Cd
1.0
3.6902 0.0000 0.0000
0.0000 3.6902 0.0000
0.0000 0.0000 24.6419
Pr Sm Cd
4 5 1
Direct
0.0000 0.0000 0.1046 Pr
0.0000 0.0000 0.3139 Pr
0.0000 0.0000 0.6861 Pr
0.0000 0.0000 0.8954 Pr
0.5000 0.5000 0.0000 Sm
0.5000 0.5000 0.2095 Sm
0.5000 0.5000 0.4173 Sm
0.5000 0.5000 0.5827 Sm
0.5000 0.5000 0.7905 Sm
0.0000 0.0000 0.5000 Cd
```

Computed properties:
DOS(E_F) = 12.93 states/eV/cell
density = 7066 kg/m³
formation energy = -0.052 eV/atom
raw total energy = -0.162 Ha/atom
ΔE to the lowest computed polymorph = 0 meV/atom
symmetry = P4/mmm, No. 123

~~~~~

Record 1
# Sc10Bi3Te3 PBE relaxed
# - final energy (eV/atom) = -5.98
# - raw formation energy (eV per formula unit) = -11.3
data_Sc10Bi3Te3
_cell_length_a 8.6114
_cell_length_b 8.6114
_cell_length_c 5.9029
_cell_angle_alpha 90.00
_cell_angle_beta 90.00
_cell_angle_gamma 120.00
_space_group_name_H-M_alt 'P -6 2 m'
_space_group_IT_number 189
_space_group_name_Hall 'P -6 -2'
loop_
_atom_site_label
_atom_site_fract_x
_atom_site_fract_y
_atom_site_fract_z
Sc1 0.0000 0.2503 0.0000
Sc2 0.0000 0.7509 0.5000
Sc3 0.3333 0.6667 0.2470
Bi1 0.0000 0.3868 0.5000
Te1 0.0000 0.6170 0.0000

---

Record 2
# Tb5Ge2S2 PBE relaxed
# - final energy (eV/atom) = -5.75
# - raw formation energy (eV per formula unit) = -11.1
data_Tb5Ge2S2
_cell_length_a 14.274
_cell_length_b 7.521
_cell_length_c 7.652
_cell_angle_alpha 90.00
_cell_angle_beta 90.00
_cell_angle_gamma 90.00
_space_group_name_H-M_alt 'C m c e'
_space_group_IT_number 64
_space_group_name_Hall '-C 2ac 2'
loop_
_atom_site_label
_atom_site_fract_x
_atom_site_fract_y
_atom_site_fract_z
Tb1 0.000 0.000 0.000
Tb2 0.140 0.169 0.341
Ge1 0.000 0.133 0.634
S1 0.196 0.000 0.000

---

Record 3
# Ce2PaGe3Rh4 PBE relaxed
# - final energy (eV/atom) = -7.29
# - ΔE_f (eV per atom) = -0.830
data_Ce2PaGe3Rh4
_cell_length_a 4.245
_cell_length_b 4.245
_cell_length_c 10.917
_cell_angle_alpha 90.00
_cell_angle_beta 90.00
_cell_angle_gamma 90.00
_space_group_name_H-M_alt 'P -4 m 2'
_space_group_IT_number 115
loop_
_space_group_symop_operation_xyz
'x,y,z'
'y,-x,-z'
'-x,-y,z'
'-y,x,-z'
'-x,y,z'
'-y,-x,-z'
'x,-y,z'
'y,x,-z'
loop_
_atom_site_label
_atom_site_fract_x
_atom_site_fract_y
_atom_site_fract_z
Ce1 0.000 0.500 0.229
Pa1 0.000 0.000 0.500
Ge1 0.000 0.500 0.877
Ge2 0.500 0.500 0.500
Rh1 0.000 0.000 0.000
Rh2 0.000 0.500 0.651
Rh3 0.500 0.500 0.000

---

Record 4
# YBe3 PBE relaxed
# - final energy (eV/atom) = -4.40
# - ΔE_f (eV per atom) = 0.015
data_YBe3
_cell_length_a 6.0991
_cell_length_b 6.0991
_cell_length_c 3.6436
_cell_angle_alpha 90.00
_cell_angle_beta 90.00
_cell_angle_gamma 120.00
_space_group_name_H-M_alt 'P 63/m m c'
_space_group_IT_number 194
_space_group_name_Hall '-P 6c 2c'
loop_
_atom_site_label
_atom_site_fract_x
_atom_site_fract_y
_atom_site_fract_z
Y1 0.3333 0.6667 0.2500
Be1 0.1176 0.2353 0.7500

---

Record 5
# LiInBiRh PBE relaxed
# - final energy (eV/atom) = -4.23
# - ΔE_f (eV per atom) = -0.255
data_LiInBiRh
_cell_length_a 6.755
_cell_length_b 6.755
_cell_length_c 6.755
_cell_angle_alpha 90.00
_cell_angle_beta 90.00
_cell_angle_gamma 90.00
_space_group_name_H-M_alt 'F -4 3 m'
_space_group_IT_number 216
_space_group_name_Hall 'F -4 2 3'
loop_
_atom_site_label
_atom_site_fract_x
_atom_site_fract_y
_atom_site_fract_z
Li1 0.000 0.000 0.000
In1 0.250 0.250 0.250
Bi1 0.250 0.250 0.750
Rh1 0.000 0.000 0.500

---

Record 6
# Ac5Si2 PBE relaxed
# - final energy (eV/atom) = -4.81
# - raw formation energy (eV per formula unit) = -2.3
data_Ac5Si2
_cell_length_a 17.539
_cell_length_b 7.138
_cell_length_c 8.279
_cell_angle_alpha 90.00
_cell_angle_beta 97.86
_cell_angle_gamma 90.00
_space_group_name_H-M_alt 'C 1 2/c 1'
_space_group_IT_number 15
loop_
_space_group_symop_operation_xyz
'x,y,z'
'-x,-y,-z'
'-x,y,-z+1/2'
'x,-y,z+1/2'
'x+1/2,y+1/2,z'
'-x+1/2,-y+1/2,-z'
'-x+1/2,y+1/2,-z+1/2'
'x+1/2,-y+1/2,z+1/2'
loop_
-- stop --

To do =
What is needed: type out only the lines above with the word "data_Ac5Si2" in them.

Completed =
data_Ac5Si2